## Given
Record 1
Density functional theory data (PBE) for a relaxed MgAlH5 crystal.

Cell lengths 6.885, 6.885, 4.273 Å; angles 90.00, 90.00, 141.78 degrees
Positions (direct):
H 0.350 0.961 0.029
H 0.599 0.783 0.970
H 0.650 0.039 0.529
H 0.039 0.650 0.471
H 0.836 0.836 0.500
H 0.217 0.401 0.530
H 0.401 0.217 0.470
H 0.164 0.164 0.000
H 0.961 0.350 0.971
H 0.783 0.599 0.030
Al 0.909 0.091 0.750
Al 0.091 0.909 0.250
Mg 0.321 0.679 0.250
Mg 0.679 0.321 0.750

DFT formation energy ... -195 meV per atom
Total DFT energy (no corrections) ... -22.8 eV/f.u.
V ... 9.0 Å³ per atom
Mass density ... 1.49 g/cm³
Space-group type ... C222_1 (20)

Record 2
Density functional theory data (PBE) for a relaxed BaMgTiO3 crystal.

Cell lengths 3.896, 3.896, 6.394 Å; angles 90.00, 90.00, 90.00 degrees
Positions (direct):
O 0.500 0.500 0.910
O 0.000 0.500 0.471
O 0.500 0.000 0.471
Ti 0.500 0.500 0.615
Mg 0.000 0.000 0.519
Ba 0.000 0.000 0.044

DFT formation energy ... -2540 meV per atom
Total DFT energy (no corrections) ... -39.4 eV/f.u.
V ... 16.2 Å³ per atom
Mass density ... 4.41 g/cm³
Polymorph energy (0 for the lowest one) ... 178 meV/atom
Space-group type ... P4mm (99)

Record 3
Density functional theory data (PBE) for a relaxed AgGeO3 crystal.

Cell lengths 2.993, 5.325, 7.139 Å; angles 90.00, 90.00, 90.00 degrees
Positions (direct):
Ge 0.000 0.500 0.500
Ge 0.000 0.500 0.000
Ag 0.500 0.978 0.250
Ag 0.500 0.022 0.750
O 0.500 0.260 0.470
O 0.500 0.740 0.530
O 0.500 0.740 0.970
O 0.000 0.404 0.750
O 0.000 0.596 0.250
O 0.500 0.260 0.030

DFT formation energy ... -1312 meV per atom
Total DFT energy (no corrections) ... -26.8 eV/f.u.
V ... 11.4 Å³ per atom
Mass density ... 6.67 g/cm³
Space-group type ... Pmma (51)

Record 4
Density functional theory data (PBE) for a relaxed Mn12Pt4N crystal.

Cell lengths 5.264, 4.198, 9.307 Å; angles 89.84, 90.00, 90.00 degrees
Positions (direct):
Pt 0.000 0.252 0.342
Pt 0.000 0.748 0.658
Pt 0.500 0.746 0.177
Pt 0.500 0.254 0.823
Mn 0.500 0.752 0.645
Mn 0.742 0.760 0.914
Mn 0.258 0.760 0.914
Mn 0.000 0.765 0.171
Mn 0.727 0.248 0.572
Mn 0.258 0.240 0.086
Mn 0.000 0.235 0.829
Mn 0.727 0.752 0.428
Mn 0.273 0.752 0.428
Mn 0.500 0.248 0.355
Mn 0.742 0.240 0.086
Mn 0.273 0.248 0.572
N 0.000 0.500 0.000

DFT formation energy ... -157 meV per atom
Total DFT energy (no corrections) ... -144.9 eV/f.u.
V ... 12.1 Å³ per atom
Mass density ... 11.74 g/cm³
Space-group type ... P2/m (10)

Record 5
Density functional theory data (PBE) for a relaxed Na10TaAl7P12O48 crystal.

Cell lengths 17.133, 8.572, 21.661 Å; angles 90.00, 89.97, 120.02 degrees
Positions (direct):
O 0.682 0.496 0.358
O 0.402 0.830 0.911
O 0.732 0.295 0.027
O 0.085 0.479 0.257
O 0.749 0.868 0.361
O 0.319 0.494 0.924
O 0.928 0.495 0.424
O 0.436 0.373 0.640
O 0.750 0.355 0.424
O 0.396 0.963 0.691
O 0.262 0.694 0.257
O 0.251 0.372 0.140
O 0.751 0.131 0.639
O 0.102 0.171 0.805
O 0.320 0.144 0.424
O 0.482 0.795 0.804
O 0.253 0.364 0.425
O 0.418 0.023 0.091
O 0.251 0.129 0.640
O 0.346 0.172 0.742
O 0.918 0.813 0.591
O 0.985 0.172 0.305
O 0.314 0.126 0.142
O 0.749 0.371 0.142
O 0.085 0.974 0.911
O 0.583 0.187 0.409
O 0.080 0.464 0.977
O 0.651 0.461 0.475
O 0.741 0.314 0.742
O 0.581 0.702 0.476
O 0.512 0.834 0.410
O 0.519 0.209 0.191
O 0.087 0.206 0.690
O 0.814 0.128 0.140
O 0.249 0.854 0.076
O 0.982 0.795 0.804
O 0.896 0.964 0.691
O 0.481 0.166 0.305
O 0.587 0.968 0.191
O 0.935 0.373 0.640
O 0.902 0.830 0.911
O 0.414 0.523 0.741
O 0.846 0.172 0.742
O 0.567 0.634 0.360
O 0.852 0.536 0.528
O 0.267 0.695 0.976
O 0.853 0.168 0.026
O 0.152 0.840 0.977
O 0.652 0.840 0.977
O 0.928 0.361 0.924
O 0.405 0.973 0.410
O 0.914 0.796 0.305
O 0.585 0.974 0.911
O 0.352 0.539 0.526
O 0.654 0.829 0.258
O 0.761 0.829 0.756
O 0.261 0.829 0.756
O 0.436 0.498 0.140
O 0.843 0.518 0.242
O 0.087 0.969 0.190
O 0.416 0.294 0.527
O 0.594 0.024 0.590
O 0.094 0.165 0.090
O 0.488 0.165 0.591
O 0.567 0.499 0.860
O 0.013 0.830 0.411
O 0.678 0.854 0.576
O 0.397 0.830 0.193
O 0.416 0.538 0.026
## Request
Your job: repeat the contents further above unchanged.
## Here it is
Record 1
Density functional theory data (PBE) for a relaxed MgAlH5 crystal.

Cell lengths 6.885, 6.885, 4.273 Å; angles 90.00, 90.00, 141.78 degrees
Positions (direct):
H 0.350 0.961 0.029
H 0.599 0.783 0.970
H 0.650 0.039 0.529
H 0.039 0.650 0.471
H 0.836 0.836 0.500
H 0.217 0.401 0.530
H 0.401 0.217 0.470
H 0.164 0.164 0.000
H 0.961 0.350 0.971
H 0.783 0.599 0.030
Al 0.909 0.091 0.750
Al 0.091 0.909 0.250
Mg 0.321 0.679 0.250
Mg 0.679 0.321 0.750

DFT formation energy ... -195 meV per atom
Total DFT energy (no corrections) ... -22.8 eV/f.u.
V ... 9.0 Å³ per atom
Mass density ... 1.49 g/cm³
Space-group type ... C222_1 (20)

Record 2
Density functional theory data (PBE) for a relaxed BaMgTiO3 crystal.

Cell lengths 3.896, 3.896, 6.394 Å; angles 90.00, 90.00, 90.00 degrees
Positions (direct):
O 0.500 0.500 0.910
O 0.000 0.500 0.471
O 0.500 0.000 0.471
Ti 0.500 0.500 0.615
Mg 0.000 0.000 0.519
Ba 0.000 0.000 0.044

DFT formation energy ... -2540 meV per atom
Total DFT energy (no corrections) ... -39.4 eV/f.u.
V ... 16.2 Å³ per atom
Mass density ... 4.41 g/cm³
Polymorph energy (0 for the lowest one) ... 178 meV/atom
Space-group type ... P4mm (99)

Record 3
Density functional theory data (PBE) for a relaxed AgGeO3 crystal.

Cell lengths 2.993, 5.325, 7.139 Å; angles 90.00, 90.00, 90.00 degrees
Positions (direct):
Ge 0.000 0.500 0.500
Ge 0.000 0.500 0.000
Ag 0.500 0.978 0.250
Ag 0.500 0.022 0.750
O 0.500 0.260 0.470
O 0.500 0.740 0.530
O 0.500 0.740 0.970
O 0.000 0.404 0.750
O 0.000 0.596 0.250
O 0.500 0.260 0.030

DFT formation energy ... -1312 meV per atom
Total DFT energy (no corrections) ... -26.8 eV/f.u.
V ... 11.4 Å³ per atom
Mass density ... 6.67 g/cm³
Space-group type ... Pmma (51)

Record 4
Density functional theory data (PBE) for a relaxed Mn12Pt4N crystal.

Cell lengths 5.264, 4.198, 9.307 Å; angles 89.84, 90.00, 90.00 degrees
Positions (direct):
Pt 0.000 0.252 0.342
Pt 0.000 0.748 0.658
Pt 0.500 0.746 0.177
Pt 0.500 0.254 0.823
Mn 0.500 0.752 0.645
Mn 0.742 0.760 0.914
Mn 0.258 0.760 0.914
Mn 0.000 0.765 0.171
Mn 0.727 0.248 0.572
Mn 0.258 0.240 0.086
Mn 0.000 0.235 0.829
Mn 0.727 0.752 0.428
Mn 0.273 0.752 0.428
Mn 0.500 0.248 0.355
Mn 0.742 0.240 0.086
Mn 0.273 0.248 0.572
N 0.000 0.500 0.000

DFT formation energy ... -157 meV per atom
Total DFT energy (no corrections) ... -144.9 eV/f.u.
V ... 12.1 Å³ per atom
Mass density ... 11.74 g/cm³
Space-group type ... P2/m (10)

Record 5
Density functional theory data (PBE) for a relaxed Na10TaAl7P12O48 crystal.

Cell lengths 17.133, 8.572, 21.661 Å; angles 90.00, 89.97, 120.02 degrees
Positions (direct):
O 0.682 0.496 0.358
O 0.402 0.830 0.911
O 0.732 0.295 0.027
O 0.085 0.479 0.257
O 0.749 0.868 0.361
O 0.319 0.494 0.924
O 0.928 0.495 0.424
O 0.436 0.373 0.640
O 0.750 0.355 0.424
O 0.396 0.963 0.691
O 0.262 0.694 0.257
O 0.251 0.372 0.140
O 0.751 0.131 0.639
O 0.102 0.171 0.805
O 0.320 0.144 0.424
O 0.482 0.795 0.804
O 0.253 0.364 0.425
O 0.418 0.023 0.091
O 0.251 0.129 0.640
O 0.346 0.172 0.742
O 0.918 0.813 0.591
O 0.985 0.172 0.305
O 0.314 0.126 0.142
O 0.749 0.371 0.142
O 0.085 0.974 0.911
O 0.583 0.187 0.409
O 0.080 0.464 0.977
O 0.651 0.461 0.475
O 0.741 0.314 0.742
O 0.581 0.702 0.476
O 0.512 0.834 0.410
O 0.519 0.209 0.191
O 0.087 0.206 0.690
O 0.814 0.128 0.140
O 0.249 0.854 0.076
O 0.982 0.795 0.804
O 0.896 0.964 0.691
O 0.481 0.166 0.305
O 0.587 0.968 0.191
O 0.935 0.373 0.640
O 0.902 0.830 0.911
O 0.414 0.523 0.741
O 0.846 0.172 0.742
O 0.567 0.634 0.360
O 0.852 0.536 0.528
O 0.267 0.695 0.976
O 0.853 0.168 0.026
O 0.152 0.840 0.977
O 0.652 0.840 0.977
O 0.928 0.361 0.924
O 0.405 0.973 0.410
O 0.914 0.796 0.305
O 0.585 0.974 0.911
O 0.352 0.539 0.526
O 0.654 0.829 0.258
O 0.761 0.829 0.756
O 0.261 0.829 0.756
O 0.436 0.498 0.140
O 0.843 0.518 0.242
O 0.087 0.969 0.190
O 0.416 0.294 0.527
O 0.594 0.024 0.590
O 0.094 0.165 0.090
O 0.488 0.165 0.591
O 0.567 0.499 0.860
O 0.013 0.830 0.411
O 0.678 0.854 0.576
O 0.397 0.830 0.193
O 0.416 0.538 0.026